**Assignment**
Now duplicate the lines underneath from the one with "1.29629" to the one with "3.91761 2.89524" without additions.

**Contents**
┌──
(1)
ORCA calculation (ωB97M-V/def2-TZVPD) on C24H44Cl3MnN4O3SSi as an isolated structure.

Cartesian coordinates (Å):
1 Mn 0.18095 -1.02952 0.65194
2 Cl -0.93198 -2.89740 -0.03361
3 Cl 2.41126 -0.66511 1.11153
4 Cl 1.14152 -4.46627 -1.88315
5 S -0.55354 -1.89808 2.68694
6 Si 0.52359 -5.67004 -0.22489
7 O 0.22669 -0.20551 -1.18700
8 O -0.36262 1.31393 1.52824
9 O -2.53602 -0.32285 0.31926
10 N 1.00510 -0.14311 4.00807
11 N -2.73522 0.15120 -1.93610
12 N 0.16962 3.53106 1.77416
13 N -1.16528 -0.37067 4.73090
14 C 2.16873 2.82655 -1.71277
15 C 0.96258 -7.49419 -0.59520
16 C -0.33904 4.05379 -1.73647
17 C -1.09667 0.70779 5.72467
18 C -0.20127 -0.70744 3.86958
19 C -2.49817 -1.17907 -2.45539
20 C -0.23892 2.66270 -1.63777
21 C 0.47658 2.24330 1.51628
22 C 1.16890 4.59196 1.73186
23 C -3.10782 1.14600 -2.92639
24 C 1.62981 -5.14416 1.19520
25 C 0.82039 4.82697 -1.83880
26 C 0.60573 0.87710 -4.30458
27 C 0.23656 1.41986 5.70603
28 C 1.56225 -1.31997 -3.54484
29 C 0.36410 0.46937 -5.72457
30 C 1.00732 2.05719 -1.71011
31 C 1.15626 0.53033 -1.87027
32 C 1.08810 0.07588 -3.33202
33 C 1.38080 0.52640 5.24527
34 C -1.21459 3.93639 1.97317
35 C 2.08496 4.21901 -1.81493
36 C -2.75658 0.45824 -0.60833
37 C -1.33921 -5.86009 0.09884
38 H 1.04565 0.98575 -6.42474
39 H 2.28110 1.10780 5.02715
40 H -1.29420 0.28609 6.71552
41 H 0.17055 2.27213 5.01743
42 H -2.22933 1.45488 -3.51279
43 H -1.58139 4.49996 1.10030
44 H -3.52295 2.02227 -2.41704
45 H 0.45857 -0.61602 -5.89611
46 H 2.14316 4.16482 1.47658
47 H 1.44648 -5.80356 2.05980
48 H 1.71119 -0.40863 3.31225
49 H -1.82509 3.04148 2.11391
50 H 0.22779 -7.94678 -1.27279
51 H 1.46709 -4.10184 1.51031
52 H 2.16154 0.27810 -1.51345
53 H -1.90420 -4.92697 -0.03590
54 H 2.67964 -5.27010 0.89111
55 H 1.62864 -0.19841 6.03612
56 H -1.33025 4.51249 -1.73648
57 H -1.11643 2.01528 -1.53119
58 H 0.90527 5.35093 0.97861
59 H 0.95575 -8.09744 0.31974
60 H -1.47819 -6.18433 1.14278
61 H 0.38836 1.92471 -4.08449
62 H -1.59836 -1.17686 -3.08490
63 H 2.66306 -1.36811 -3.49830
64 H 1.95783 -7.59460 -1.04624
65 H 0.73300 5.92445 -1.92243
66 H 1.54136 2.05153 1.29371
67 H 1.17034 -1.98132 -2.75794
68 H -1.27689 4.58818 2.85365
69 H 3.13533 2.31077 -1.67003
70 H 0.45804 1.79758 6.71075
71 H 1.23644 5.09358 2.71145
72 H 1.25471 -1.70607 -4.52167
73 H 2.99935 4.82485 -1.87245
74 H -3.84955 0.72573 -3.62165
75 H -1.76788 -6.63365 -0.55161
76 H -2.05657 -0.82188 4.55520
77 H -3.00598 1.53379 -0.42977
78 H -0.65774 0.77611 -6.00830
79 H -1.91305 1.40429 5.51808
80 H -2.36422 -1.89010 -1.63555
81 H -3.34282 -1.47244 -3.09337

Frontier orbital gap (alpha / beta)   5.48 / 7.07 eV
Lowest unoccupied orbital energy (alpha / beta)   2.258 / 2.255 eV
Calculated total energy   -4605.17314 Eh
Spin multiplicity   6
E_HOMO (alpha / beta)   -3.2 / -4.8 eV
F_max   2.27 eV Å⁻¹
Net charge   -1

Mulliken population analysis, charges in e, atoms 1 to 8:
1. Mn 0.92
2. Cl -0.55
3. Cl -0.82
4. Cl -0.33
5. S -0.64
6. Si 0.63
7. O 0.13
8. O -0.61

***

(2)
ORCA calculation (ωB97M-V/def2-TZVPD) on C24H44Cl3O7PRuSSi as an isolated structure.

Cartesian coordinates (Å):
1 Ru 0.55714 -0.01553 0.15844
2 Cl 1.30579 -2.37363 0.05240
3 Cl -1.75561 -6.77675 -0.21693
4 Cl -4.05232 -2.02994 0.57277
5 S 0.10876 1.25949 -1.58881
6 P 2.66814 0.85590 0.32656
7 Si -1.13998 2.43914 -0.14392
8 O 3.65467 -0.24785 0.89092
9 O 3.39902 1.34868 -0.96475
10 O -2.64697 1.93826 -0.30479
11 O 2.69572 2.07931 1.29629
12 O -1.29697 -1.09103 0.40412
13 O -0.46335 1.76308 1.22147
14 O -0.95091 4.00062 -0.31516
15 C -0.06953 5.26201 -2.14901
16 C -3.73123 2.44016 -1.16308
17 C 0.00195 5.05288 -0.64789
18 C -4.26097 3.72561 -0.55027
19 C 3.71113 0.46552 -2.09010
20 C -4.78253 1.34767 -1.14880
21 C -1.39520 -2.33173 0.26846
22 C -3.19143 2.66526 -2.56595
23 C -0.45768 6.28475 0.10786
24 C -2.68898 -2.99490 0.32002
25 C -2.30203 1.45845 2.79998
26 C -2.78903 -4.34946 0.17555
27 C 3.91761 2.89524 1.44482
28 C 4.43537 -0.31519 3.19769
29 C -0.24276 -3.18265 0.07673
└──

**Worked solution**
11 O 2.69572 2.07931 1.29629
12 O -1.29697 -1.09103 0.40412
13 O -0.46335 1.76308 1.22147
14 O -0.95091 4.00062 -0.31516
15 C -0.06953 5.26201 -2.14901
16 C -3.73123 2.44016 -1.16308
17 C 0.00195 5.05288 -0.64789
18 C -4.26097 3.72561 -0.55027
19 C 3.71113 0.46552 -2.09010
20 C -4.78253 1.34767 -1.14880
21 C -1.39520 -2.33173 0.26846
22 C -3.19143 2.66526 -2.56595
23 C -0.45768 6.28475 0.10786
24 C -2.68898 -2.99490 0.32002
25 C -2.30203 1.45845 2.79998
26 C -2.78903 -4.34946 0.17555
27 C 3.91761 2.89524 1.44482